Published on October 18, 2019

IEEE Transactions on Professional Communication
September 2021 Issue

(Here the piece breaks off for materials data)
=====
This entry pairs a crystal structure of CaPr4SmS8 with its simulated powder diffractogram. Radiation: λ = 1.5418 Å (Cu Kα). Structure: a crystal structure in Alexandria, relaxed with PBE.
Lines closer than 0.1° are merged.

The 10 most intense peaks (2θ from 15° to 90°), most intense first:
2θ = 24.91°, d = 3.574 Å, I = 100, hkl 1 1 3; 2θ = 30.18°, d = 2.961 Å, I = 51, hkl 0 2 4; 2θ = 39.51°, d = 2.281 Å, I = 48, hkl 1 2 5; 2θ = 43.12°, d = 2.098 Å, I = 45, hkl 2 2 0; 2θ = 43.29°, d = 2.090 Å, I = 45, hkl 2 0 8; 2θ = 24.99°, d = 3.563 Å, I = 34, hkl 0 1 5; 2θ = 21.21°, d = 4.189 Å, I = 21, hkl 1 1 0; 2θ = 59.90°, d = 1.544 Å, I = 20, hkl 4 1 3; 2θ = 26.03°, d = 3.424 Å, I = 18, hkl 2 0 2; 2θ = 50.46°, d = 1.808 Å, I = 15, hkl 3 1 5

Cell and atoms:
a b c (Å): 8.3918 8.3918 20.4411
angles (deg): 90.00 90.00 120.00
Space group R3m (No. 160, hexagonal axes)
One atom of each set of equivalent atoms:
1 Ca 0.0000 0.0000 0.0000
2 Pr 0.0000 0.0000 0.2494
3 Pr 0.1691 0.3382 0.4576
4 Sm 0.0000 0.0000 0.6269
5 S 0.0000 0.0000 0.3829
6 S 0.0000 0.0000 0.8671
7 S 0.0240 0.5120 0.3759
8 S 0.1795 0.3590 0.2071

---

This entry pairs a crystal structure of CaPr4Tm3S8 with its simulated powder diffractogram. Radiation: λ = 1.5418 Å (Cu Kα). Structure: a crystal structure in Alexandria, relaxed with PBE.
Lines closer than 0.1° are merged.

The 10 most intense peaks (2θ from 15° to 90°), most intense first:
2θ = 31.68°, d = 2.825 Å, I = 100, hkl 0 2 4; 2θ = 27.61°, d = 3.231 Å, I = 53, hkl 2 0 2; 2θ = 44.71°, d = 2.027 Å, I = 37, hkl 2 0 8; 2θ = 46.09°, d = 1.969 Å, I = 35, hkl 2 2 0; 2θ = 74.18°, d = 1.278 Å, I = 23, hkl 2 2 12; 2θ = 26.53°, d = 3.360 Å, I = 20, hkl 0 0 6; 2θ = 57.01°, d = 1.615 Å, I = 18, hkl 4 0 4; 2θ = 53.97°, d = 1.699 Å, I = 18, hkl 2 2 6; 2θ = 76.23°, d = 1.249 Å, I = 15, hkl 2 4 4; 2θ = 54.60°, d = 1.681 Å, I = 15, hkl 0 0 12

Cell and atoms:
a b c (Å): 7.8769 7.8769 20.1590
angles (deg): 90.00 90.00 120.00
Space group R-3m (No. 166, hexagonal axes)
One atom of each set of equivalent atoms:
1 Ca 0.0000 0.0000 0.0000
2 Pr 0.0000 0.0000 0.5000
3 Pr 0.0000 0.5000 0.5000
4 Tm 0.0000 0.5000 0.0000
5 S 0.0000 0.0000 0.2585
6 S 0.0047 0.5023 0.2576


Starting from a crystal structure in Alexandria, relaxed with PBE, the X-ray powder pattern of CaHo3Rh4 was calculated for copper Kα.
Kinematic intensities with the Lorentz-polarization factor, no thermal factor.

Structural model:
```
CaHo3Rh4
1.0
4.827 0.000 0.000
0.000 4.827 0.000
0.000 0.000 6.793
Ca Ho Rh
1 3 4
Direct
0.000 0.000 0.000
0.000 0.000 0.500
0.500 0.500 0.000
0.500 0.500 0.500
0.000 0.500 0.258
0.000 0.500 0.742
0.500 0.000 0.258
0.500 0.000 0.742
```

Largest 10 diffraction maxima, in order of falling intensity, 2θ from 10° to 80°:
- d = 2.410 Å, rel. 100
- d = 1.392 Å, rel. 23
- d = 1.707 Å, rel. 12
- d = 1.389 Å, rel. 11
- d = 1.204 Å, rel. 7
- d = 1.698 Å, rel. 6
- d = 6.793 Å, rel. 4
- d = 3.935 Å, rel. 4
- d = 1.207 Å, rel. 4
- d = 4.827 Å, rel. 3
=====

Guest editors: Lisa Melonçon (University of South Florida) and Nupoor Ranade (North Carolina State University)

Accessibility is the quality that ensures that all people can use information or technology regardless of disability. The publication of Melonçon’s [1] collection in 2013 brought accessibility issues to the forefront of technical and professional communication. The years since have seen only limited engagement with accessibility and its application as a key part of design and communication decisions. Recent academic research has focused on pedagogical approaches [2] and issues of design, most of it theoretical [3], leaving much room for applied approaches. Moreover, research and initiatives in the workplace are also lagging. For example, although large organizations like IBMMicrosoft and SAS conduct significant research in this area, the results have not been widely adopted beyond their own corporate borders, as evidenced by the many access problems revealed in a recent analysis of top web pages [4]. 

Despite laws in the US and abroad and an increased awareness of diversity issues, practitioners and academics alike still struggle to include access in their workflows and make information accessible for users with disabilities or limitations [5]. This struggle has resulted in an overreliance on checklists (see, e.g., [6]). For example, when practitioners want to implement accessibility, they often turn to a checklist or other VPAT (Voluntary Product Accessibility Template) guidelines out of necessity or lack of time or resources, without truly considering the full communicative effects and limitations of those checklists. This abstract framing of accessibility limits the analysis of communication practices because it fails to consider the broader issues of social construction and marginalization of knowledge. Even though scholars have pushed back against checklists [7] because they fail to take an instrumental approach, more research is needed to examine and understand how to make information, systems, design, and products more accessible. 

Therefore, accessibility remains a crucial subject of investigation for academic researchers and an elusive goal in the workplace. We see the need to create contexts that will encourage technical and professional communicators to look critically at the role that accessibility plays in the process and practice of design, communication, and everyday experience. This special issue aims to encourage practitioners and scholars to develop and to share empirical research that can assist in practical ways to advance accessibility design, implementation, and testing, and to emphasize accessibility’s role in conceptualizing and building inclusive and equitable products, services, and information. 

The guest editors invite proposals that engage with following or similar questions:

  • How have organizations addressed access? Empirical work and case studies can be used to describe techniques and strategies for implementation, legal implications, ethical challenges, and noteworthy successes or failures in achieving accessibility.
  • What do scholars and practitioners see as opportunities to expand the definitions or approaches to accessibility beyond the checklist? Through integrative literature reviews or case studies, how might we rethink our current definitions of accessibility and its relationship to practice? 
  • How can we reconsider our base definitions of accessibility and universal design in new ways that are more relevant today, and how will they help improve our implementation strategies?
  • How might we expand concepts of user experience through accessibility? And what are the costs and benefits of doing so? 
  • How are professional communicators engaging in accessibility testing to increase the tests’ effectiveness? 
  • What practices can we borrow from related fields like computer science, cognitive psychology, data science, and disability studies to illuminate approaches for incorporating accessibility practices in technical and professional communication work?
  • In what ways can professional communicators expand critical methodologies for accessible user experience? What do these look like in practice?
  • What is the role of access and accessibility in intercultural communication projects? How can we expand our understanding of these practices through access?
  • What do we see as areas to improve training and awareness surrounding the issues of accessibility?
  • How can we contribute to conversations on pedagogical interventions for accessibility studies or on ways to tackle cultural and technological challenges while incorporating accessibility studies in the curriculum?

IEEE PCS welcomes empirical research articles, integrative literature reviews, case studies, teaching cases, and tutorials that address any of these questions or your own questions that are related to issues of accessibility and the role that it plays and should play in professional communication. A review of current best resources for support in accessibility design would be of particular interest to our readership. (Consult for explanations of these article types and links to guidelines and review rubrics.)

Important Dates

Abstract submission deadline                                            March 1, 2020

Notification of authors                                                        April 1, 2020

Submission of complete drafts                                          September 15, 2020 

Reviews returned to authors                                              December 1, 2021 

Revised drafts submitted for second review                  February 1, 2021 

Final and complete articles submitted                             May 1, 2021

Editing of articles completed by guest editor(s)             June 1, 2021

Special issue published                                                        September 1, 2021

Questions and Submissions

The guest editors encourage questions or queries:

Send submissions to both editors at the addresses listed above. 


[1]        L. Meloncon, Rhetorical Accessibility: At the Intersection of Technical Communication and Disability Studies. Amityville, NY: Baywood, 2013.

[Unrelated to this text: crystal structures]
********
The following is a calculated X-ray powder pattern of Na2CoGeO4. It was derived from a structure optimized by DFT (PBE+U), using λ = 1.5418 Å (Cu Kα).

Most intense lines, 5 to 70 degrees two-theta, sorted by position:
| d_spacing | I_rel |
| --- | --- |
| 6.256 | 86 |
| 4.115 | 93 |
| 2.875 | 99 |
| 2.731 | 88 |
| 2.715 | 85 |
| 2.544 | 100 |
| 1.753 | 53 |
| 1.475 | 42 |

Crystal structure
```
Na2CoGeO4
1.0
6.475 0.000 0.000
0.000 6.256 0.000
0.000 0.000 5.463
Na Co Ge O
4 2 2 8
direct
0.249 0.166 0.000 Na
0.251 0.834 0.500 Na
0.749 0.834 0.500 Na
0.751 0.166 0.000 Na
0.000 0.352 0.494 Co
0.500 0.648 0.994 Co
0.000 0.652 0.991 Ge
0.500 0.348 0.491 Ge
0.000 0.396 0.132 O
0.000 0.627 0.666 O
0.229 0.801 0.072 O
0.271 0.199 0.572 O
0.500 0.373 0.166 O
0.500 0.604 0.632 O
0.729 0.199 0.572 O
0.771 0.801 0.072 O
```

=====

The following is a calculated X-ray powder pattern of Na2CoGeO4. It was derived from a structure optimized by DFT (PBE+U), using λ = 1.5418 Å (Cu Kα).

Most intense lines, 5 to 70 degrees two-theta, sorted by position:
| d_spacing | I_rel |
| --- | --- |
| 4.469 | 53 |
| 4.330 | 62 |
| 3.050 | 42 |
| 2.843 | 40 |
| 2.704 | 56 |
| 2.657 | 100 |
| 1.678 | 29 |
| 1.552 | 34 |

Crystal structure
```
Na2CoGeO4
1.0
5.407 0.000 0.000
0.000 5.686 0.000
-5.404 0.000 7.229
Na Co Ge O
4 2 2 8
direct
0.000 0.177 0.000 Na
0.000 0.823 0.500 Na
0.748 0.322 0.244 Na
0.748 0.678 0.744 Na
0.265 0.314 0.751 Co
0.265 0.686 0.251 Co
0.516 0.185 0.497 Ge
0.516 0.815 0.997 Ge
0.227 0.347 0.295 O
0.227 0.653 0.795 O
0.406 0.118 0.971 O
0.406 0.882 0.471 O
0.580 0.295 0.703 O
0.580 0.705 0.203 O
0.869 0.207 0.523 O
0.869 0.793 0.023 O
```

=====

The following is a calculated X-ray powder pattern of Co10Ge3O16. It was derived from a structure optimized by DFT (PBE+U), using λ = 1.5418 Å (Cu Kα).

Most intense lines, 5 to 70 degrees two-theta, sorted by position:
| d_spacing | I_rel |
| --- | --- |
| 2.875 | 26 |
| 2.560 | 56 |
| 2.547 | 28 |
| 2.455 | 49 |
| 2.380 | 30 |
| 2.121 | 100 |
| 1.505 | 56 |
| 1.495 | 53 |

Crystal structure
```
Co10Ge3O16
1.0
3.010 1.738 9.730
-3.010 1.738 9.730
0.000 -3.475 9.730
Co Ge O
10 3 16
direct
0.000 0.000 0.000 Co
0.000 0.000 0.500 Co
0.000 0.500 0.000 Co
0.251 0.251 0.741 Co
0.251 0.741 0.251 Co
0.259 0.749 0.749 Co
0.500 0.000 0.000 Co
0.741 0.251 0.251 Co
0.749 0.259 0.749 Co
0.749 0.749 0.259 Co
0.311 0.311 0.311 Ge
0.500 0.500 0.500 Ge
0.689 0.689 0.689 Ge
0.123 0.123 0.123 O
0.128 0.128 0.621 O
0.128 0.621 0.128 O
0.162 0.612 0.612 O
0.373 0.373 0.373 O
0.379 0.872 0.872 O
0.388 0.388 0.838 O
0.388 0.838 0.388 O
0.612 0.162 0.612 O
0.612 0.612 0.162 O
0.621 0.128 0.128 O
0.627 0.627 0.627 O
0.838 0.388 0.388 O
0.872 0.379 0.872 O
0.872 0.872 0.379 O
0.877 0.877 0.877 O
```

----------

Ca4Pm2Sb3O2: calculated X-ray diffraction stick pattern (CuKα), based on a cell relaxed with PBE.
Peak positions follow from Bragg's law for the DFT cell and can differ from measured ones.

Crystal structure
********

[2]        S. K. Oswal, “Guest editor’s introduction: Can workplaces, classrooms, and pedagogies be disabling?,” Business and Professional Communication Quarterly, vol. 81, no. 1, pp. 3–19, 2018.

[3]        S. Zdenek, “Guest editor’s introduction: reimagining disability and accessibility in technical and professional communication,” Communication Design Quarterly Review, vol. 6, no. 4, pp. 4–11, 2019.

[4]        WebAim, “The WebAIM Million: An accessibility analysis of the top 1,000,000 home pages,” 2019 [Online]. Available:

[5]        B. Gregory, “Designing for Cognitive Differences”, 2018 [Online]. Available:

[6]        IBM checklist for accessibility. [Online].

[7]        S. K. Oswal, L. Meloncon, “Saying no to the checklist: Shifting from an ideology of normalcy to an ideology of inclusion in online writing instruction.” Writing Program Administration, vol 40, no. 3, pp. 61-77, 2017.